• Excerpt:
........
Model 1:
A cluster of 2 separate species, C3H8OS2 in total, computed with ωB97M-V/def2-TZVPD.

The geometry in XYZ format:
```
14
Properties=species:S:1:pos:R:3:mulliken_charge:R:1
C 0.5043 -0.4987 0.5375 -0.5059
C -0.5279 0.5012 0.9929 -0.0519
O -1.5409 0.0390 1.8685 -0.4002
C 1.4114 -0.0746 -0.6583 -0.4530
S 3.0818 -0.6794 -0.4376 -0.2571
S -2.9171 0.7323 -0.8683 -0.1605
H 1.0588 -0.9553 1.3760 0.4406
H -0.0657 -1.3837 0.2009 0.1926
H -1.1279 0.7761 0.0380 -0.3220
H -0.2135 1.5168 1.2883 0.3244
H -2.2757 -0.1304 1.2583 0.3774
H 0.9687 -0.6300 -1.4626 0.3159
H 1.4060 1.0138 -0.8038 0.3679
H 3.5067 -0.5747 -1.7009 0.1318
```

Summary:
Kohn-Sham gap (eV): 5.9359
LUMO (eV): -3.49
Charge: 0



Model 2:
A cluster of 2 separate species, C3H8OS2 in total, computed with ωB97M-V/def2-TZVPD.

The geometry in XYZ format:
```
14
Properties=species:S:1:pos:R:3:mulliken_charge:R:1
C -0.0954 -0.0186 -0.2355 -0.2379
C 1.0921 0.7973 -0.7218 -0.5425
S 1.0560 0.8844 -2.5489 -0.1338
S 0.0453 -0.9568 -2.7729 -0.1319
C -0.1113 -1.3371 -0.9901 -0.4863
H -1.0235 0.5409 -0.4613 0.3035
H 0.0098 -0.0660 0.8655 -0.1044
H 1.0378 1.7346 -0.1354 0.3495
H 2.0159 0.2659 -0.4225 0.3218
H 0.7783 -1.9521 -0.7537 0.2990
H -1.0092 -1.9304 -0.7308 0.3423
O -1.4781 0.6119 3.3024 -0.6380
H -0.5747 0.2854 3.0892 0.3269
H -1.7429 1.1405 2.5158 0.3318
```

Summary:
Kohn-Sham gap (eV): 8.4684
LUMO (eV): 0.48
Charge: 0
SMILES: C1CSSC1.O



On energetic grounds, model 2 is preferred over the next structure by 94.1 kcal/mol.



Model 1:
A cluster of 2 separate species, C3H8OS2 in total, computed with ωB97M-V/def2-TZVPD.

The geometry in XYZ format:
```
14
Properties=species:S:1:pos:R:3:mulliken_charge:R:1
C 1.7342 -0.5144 -0.0452 -0.7543
C 1.8155 0.7861 0.2783 0.2499
O 2.4509 1.1743 1.4418 -0.4617
H 0.7547 -0.9832 -0.1996 0.0622
H 2.4868 -1.2398 0.3189 0.2636
H 1.4223 1.5951 -0.3237 0.3530
H 2.7784 0.3559 1.8142 0.2905
C -2.4400 -0.0071 0.4966 -0.7191
S -2.0680 -1.0570 -0.9091 -0.0799
S -1.0024 -0.8517 -2.6866 -0.1597
H -3.0122 0.8744 0.2060 0.3022
H -1.5981 0.2378 1.1211 0.2519
H -3.2481 -0.4938 1.0365 0.2834
H -0.0741 0.1233 -2.5493 0.1181
```

Summary:
Kohn-Sham gap (eV): 8.2678
LUMO (eV): 0.08
Charge: 0
SMILES: C=CO.CSS



Model 2:
A cluster of 2 separate species, C3H8OS2 in total, computed with ωB97M-V/def2-TZVPD.

The geometry in XYZ format:
```
14
Properties=species:S:1:pos:R:3:mulliken_charge:R:1
C -0.7435 -0.7335 -0.9436 -0.3747
C 0.0409 0.6289 1.5951 -0.5880
C 0.9546 0.1148 0.6027 -0.2954
O -0.1272 -0.3742 -2.0981 -0.4640
S -1.4347 -0.3626 1.8970 -0.2423
S 2.0595 1.1472 -0.3716 -0.2119
H -1.5132 -0.0878 -0.6057 0.3611
H -0.8409 -1.8935 -0.6508 0.2734
H -0.5293 1.6674 1.3090 0.2467
H 0.4136 0.8302 2.5947 0.4041
H 1.4444 -0.8729 0.8486 0.2861
H -0.1035 0.6394 -2.0101 0.3524
H -0.7612 -1.3086 2.7037 0.1236
H 2.1152 0.2342 -1.2705 0.1290
```

Summary:
Kohn-Sham gap (spin up / spin down) (eV): 7.8680 / 7.9821
LUMO (spin up / spin down) (eV): 0.41 / 0.51
Charge: 0



On energetic grounds, model 1 is preferred over the next structure by 23.2 kcal/mol.



Model 1:
A structure of composition C4H8NO2, computed with ωB97M-V/def2-TZVPD.

The geometry in XYZ format:
```
15
Properties=species:S:1:pos:R:3:mulliken_charge:R:1
C -0.6608 0.3053 1.1776 -1.3961
C 0.0429 0.6064 -0.1554 0.2530
C 0.1580 -0.8121 -0.8340 -0.6412
C 1.3296 -1.6082 -0.1937 0.4337
O 1.0640 -2.6574 0.4094 -0.7235
O 2.4392 -1.0713 -0.3727 -0.7204
N -0.4832 2.0733 -0.5410 -0.7630
H -0.5901 1.2054 1.7939 0.3857
H -1.7174 0.1194 0.9546 0.2979
H -0.1971 -0.4903 1.7612 0.3905
H 1.0759 0.8413 0.0923 0.2949
H 0.5084 -0.6941 -1.8631 0.3390
H -0.8331 -1.2654 -0.7336 0.3287
H -0.6593 1.2032 -1.1519 0.2592
H -1.4769 2.2445 -0.3436 0.2616
```

Summary:
Kohn-Sham gap (eV): 8.4326
LUMO (eV): 4.07
Charge: -1



Model 2:
The ion C4H8NO2 with charge -1, computed with ωB97M-V/def2-TZVPD.

The geometry in XYZ format:
```
15
Properties=species:S:1:pos:R:3:mulliken_charge:R:1
N 0.2586 -1.7371 0.6188 -0.5422
........
• What to do:
Your job: duplicate every line earlier on that contains the word "is".
• Done:
On energetic grounds, model 2 is preferred over the next structure by 94.1 kcal/mol.
On energetic grounds, model 1 is preferred over the next structure by 23.2 kcal/mol.